Material =
~~~
Formula: C71H111F7N2O11
Source: OMol25
Level of theory: wB97M-V/def2-TZVPD

Each atom is followed by the atoms it is bonded to, with distances in Å.
Element x y z (Å)
1 C 7.11 -25.68 -12.92  C2 1.520, H11 1.090, H12 1.090, H13 1.090
2 C 7.50 -25.93 -14.37  C1 1.520, N3 1.547, H14 1.090, H15 1.090
3 N 7.40 -24.76 -15.38  C2 1.547, C4 1.551, C5 1.568, C7 1.572
4 C 5.96 -24.20 -15.45  N3 1.551, H16 1.090, H17 1.090, H18 1.090
5 C 8.40 -23.64 -14.91  N3 1.568, C6 1.536, H19 1.090, H20 1.090
6 C 8.47 -22.42 -15.84  C5 1.536, H21 1.090, H22 1.090, H23 1.090
7 C 7.60 -25.23 -16.87  N3 1.572, C8 1.571, H24 1.090, H25 1.090
8 C 8.97 -25.93 -17.17  C7 1.571, O9 1.423, H26 1.090, H27 1.090
9 O 9.11 -27.16 -16.47  C8 1.423, C10 1.396
10 C 10.21 -27.81 -17.03  O9 1.396, H28 1.090, H29 1.090, H30 1.090
11 H 7.26 -26.57 -12.31  C1 1.090
12 H 6.07 -25.41 -12.74  C1 1.090
13 H 7.76 -24.91 -12.50  C1 1.090
14 H 6.92 -26.74 -14.81  C2 1.090
15 H 8.57 -26.15 -14.39  C2 1.090
16 H 5.90 -23.38 -16.17  C4 1.090
17 H 5.64 -23.79 -14.49  C4 1.090
18 H 5.35 -25.08 -15.70  C4 1.090
19 H 9.38 -24.11 -14.92  C5 1.090
20 H 8.07 -23.29 -13.94  C5 1.090
21 H 8.89 -22.69 -16.80  C6 1.090
22 H 9.20 -21.69 -15.47  C6 1.090
23 H 7.53 -21.91 -16.07  C6 1.090
24 H 7.52 -24.34 -17.49  C7 1.090
25 H 6.82 -25.91 -17.19  C7 1.090
26 H 9.78 -25.28 -16.85  C8 1.090
27 H 8.96 -25.94 -18.26  C8 1.090
28 H 10.25 -28.80 -16.57  C10 1.090
29 H 11.13 -27.28 -16.77  C10 1.090
30 H 10.23 -27.99 -18.11  C10 1.090
31 N 5.08 -24.03 -19.03  O32 1.234, O33 1.206, O34 1.270
32 O 4.48 -24.14 -17.96  N31 1.234
33 O 5.99 -23.25 -19.14  N31 1.206
34 O 4.71 -24.81 -19.97  N31 1.270
35 C 10.47 -22.50 -20.72  C36 1.567, H39 1.090, H40 1.090, H41 1.090
36 C 8.98 -22.98 -20.69  C35 1.567, C37 1.485, O38 1.398, H42 1.090
37 C 8.85 -24.35 -21.26  C36 1.485, H43 1.090, H44 1.090, H45 1.090
38 O 8.64 -22.93 -19.33  C36 1.398, H46 0.960
39 H 11.04 -23.17 -20.08  C35 1.090
40 H 10.80 -21.54 -20.32  C35 1.090
41 H 10.96 -22.58 -21.69  C35 1.090
42 H 8.35 -22.34 -21.31  C36 1.090
43 H 9.38 -24.43 -22.21  C37 1.090
44 H 7.83 -24.70 -21.36  C37 1.090
45 H 9.29 -25.03 -20.53  C37 1.090
46 H 7.71 -23.18 -19.29  O38 0.960
47 C 11.38 -27.86 -13.82  C48 1.542, H51 1.090, H52 1.090, H53 1.090
48 C 11.89 -29.26 -13.42  C47 1.542, C49 1.504, O50 1.419, H54 1.090
49 C 12.23 -30.14 -14.59  C48 1.504, H55 1.090, H56 1.090, H57 1.090
50 O 13.07 -29.12 -12.64  C48 1.419, H58 0.960
51 H 11.40 -27.23 -12.93  C47 1.090
52 H 10.32 -27.93 -14.06  C47 1.090
53 H 12.01 -27.38 -14.57  C47 1.090
54 H 11.12 -29.81 -12.88  C48 1.090
55 H 13.05 -29.77 -15.20  C49 1.090
56 H 11.33 -30.23 -15.20  C49 1.090
57 H 12.42 -31.16 -14.26  C49 1.090
58 H 13.38 -29.99 -12.37  O50 0.960
59 C 8.19 -31.26 -14.82  C60 1.566, H63 1.090, H64 1.090, H65 1.090
60 C 7.89 -30.74 -13.37  C59 1.566, C61 1.523, O62 1.335, H66 1.090
61 C 6.51 -30.12 -13.19  C60 1.523, H67 1.090, H68 1.090, H69 1.090
62 O 7.98 -31.79 -12.54  C60 1.335, H70 0.960
63 H 9.22 -31.60 -14.90  C59 1.090
64 H 8.16 -30.41 -15.50  C59 1.090
65 H 7.56 -32.05 -15.22  C59 1.090
66 H 8.57 -29.95 -13.08  C60 1.090
67 H 6.35 -29.33 -13.92  C61 1.090
68 H 6.45 -29.62 -12.23  C61 1.090
69 H 5.69 -30.84 -13.25  C61 1.090
70 H 7.26 -32.35 -12.85  O62 0.960
71 C 11.33 -19.30 -16.24  C72 1.562, H75 1.090, H76 1.090, H77 1.090
72 C 12.74 -18.64 -16.07  C71 1.562, C73 1.573, O74 1.388, H78 1.090
73 C 12.78 -17.24 -15.37  C72 1.573, H79 1.090, H80 1.090, H81 1.090
74 O 13.46 -19.55 -15.32  C72 1.388, H82 0.960
75 H 10.83 -19.33 -15.27  C71 1.090
76 H 11.39 -20.29 -16.69  C71 1.090
77 H 10.73 -18.72 -16.95  C71 1.090
78 H 13.15 -18.46 -17.07  C72 1.090
79 H 13.78 -17.00 -15.01  C73 1.090
80 H 12.11 -17.28 -14.51  C73 1.090
81 H 12.45 -16.40 -15.98  C73 1.090
82 H 13.60 -20.36 -15.82  O74 0.960
83 C 3.85 -23.15 -10.91  C84 1.477, H87 1.090, H88 1.090, H89 1.090
84 C 3.49 -24.50 -10.43  C83 1.477, C85 1.517, O86 1.437, H90 1.090
85 C 4.65 -25.28 -9.84  C84 1.517, H91 1.090, H92 1.090, H93 1.090
~~~

To do =
Could you reproduce the rows earlier on without additions?

Solution =
Formula: C71H111F7N2O11
Source: OMol25
Level of theory: wB97M-V/def2-TZVPD

Each atom is followed by the atoms it is bonded to, with distances in Å.
Element x y z (Å)
1 C 7.11 -25.68 -12.92  C2 1.520, H11 1.090, H12 1.090, H13 1.090
2 C 7.50 -25.93 -14.37  C1 1.520, N3 1.547, H14 1.090, H15 1.090
3 N 7.40 -24.76 -15.38  C2 1.547, C4 1.551, C5 1.568, C7 1.572
4 C 5.96 -24.20 -15.45  N3 1.551, H16 1.090, H17 1.090, H18 1.090
5 C 8.40 -23.64 -14.91  N3 1.568, C6 1.536, H19 1.090, H20 1.090
6 C 8.47 -22.42 -15.84  C5 1.536, H21 1.090, H22 1.090, H23 1.090
7 C 7.60 -25.23 -16.87  N3 1.572, C8 1.571, H24 1.090, H25 1.090
8 C 8.97 -25.93 -17.17  C7 1.571, O9 1.423, H26 1.090, H27 1.090
9 O 9.11 -27.16 -16.47  C8 1.423, C10 1.396
10 C 10.21 -27.81 -17.03  O9 1.396, H28 1.090, H29 1.090, H30 1.090
11 H 7.26 -26.57 -12.31  C1 1.090
12 H 6.07 -25.41 -12.74  C1 1.090
13 H 7.76 -24.91 -12.50  C1 1.090
14 H 6.92 -26.74 -14.81  C2 1.090
15 H 8.57 -26.15 -14.39  C2 1.090
16 H 5.90 -23.38 -16.17  C4 1.090
17 H 5.64 -23.79 -14.49  C4 1.090
18 H 5.35 -25.08 -15.70  C4 1.090
19 H 9.38 -24.11 -14.92  C5 1.090
20 H 8.07 -23.29 -13.94  C5 1.090
21 H 8.89 -22.69 -16.80  C6 1.090
22 H 9.20 -21.69 -15.47  C6 1.090
23 H 7.53 -21.91 -16.07  C6 1.090
24 H 7.52 -24.34 -17.49  C7 1.090
25 H 6.82 -25.91 -17.19  C7 1.090
26 H 9.78 -25.28 -16.85  C8 1.090
27 H 8.96 -25.94 -18.26  C8 1.090
28 H 10.25 -28.80 -16.57  C10 1.090
29 H 11.13 -27.28 -16.77  C10 1.090
30 H 10.23 -27.99 -18.11  C10 1.090
31 N 5.08 -24.03 -19.03  O32 1.234, O33 1.206, O34 1.270
32 O 4.48 -24.14 -17.96  N31 1.234
33 O 5.99 -23.25 -19.14  N31 1.206
34 O 4.71 -24.81 -19.97  N31 1.270
35 C 10.47 -22.50 -20.72  C36 1.567, H39 1.090, H40 1.090, H41 1.090
36 C 8.98 -22.98 -20.69  C35 1.567, C37 1.485, O38 1.398, H42 1.090
37 C 8.85 -24.35 -21.26  C36 1.485, H43 1.090, H44 1.090, H45 1.090
38 O 8.64 -22.93 -19.33  C36 1.398, H46 0.960
39 H 11.04 -23.17 -20.08  C35 1.090
40 H 10.80 -21.54 -20.32  C35 1.090
41 H 10.96 -22.58 -21.69  C35 1.090
42 H 8.35 -22.34 -21.31  C36 1.090
43 H 9.38 -24.43 -22.21  C37 1.090
44 H 7.83 -24.70 -21.36  C37 1.090
45 H 9.29 -25.03 -20.53  C37 1.090
46 H 7.71 -23.18 -19.29  O38 0.960
47 C 11.38 -27.86 -13.82  C48 1.542, H51 1.090, H52 1.090, H53 1.090
48 C 11.89 -29.26 -13.42  C47 1.542, C49 1.504, O50 1.419, H54 1.090
49 C 12.23 -30.14 -14.59  C48 1.504, H55 1.090, H56 1.090, H57 1.090
50 O 13.07 -29.12 -12.64  C48 1.419, H58 0.960
51 H 11.40 -27.23 -12.93  C47 1.090
52 H 10.32 -27.93 -14.06  C47 1.090
53 H 12.01 -27.38 -14.57  C47 1.090
54 H 11.12 -29.81 -12.88  C48 1.090
55 H 13.05 -29.77 -15.20  C49 1.090
56 H 11.33 -30.23 -15.20  C49 1.090
57 H 12.42 -31.16 -14.26  C49 1.090
58 H 13.38 -29.99 -12.37  O50 0.960
59 C 8.19 -31.26 -14.82  C60 1.566, H63 1.090, H64 1.090, H65 1.090
60 C 7.89 -30.74 -13.37  C59 1.566, C61 1.523, O62 1.335, H66 1.090
61 C 6.51 -30.12 -13.19  C60 1.523, H67 1.090, H68 1.090, H69 1.090
62 O 7.98 -31.79 -12.54  C60 1.335, H70 0.960
63 H 9.22 -31.60 -14.90  C59 1.090
64 H 8.16 -30.41 -15.50  C59 1.090
65 H 7.56 -32.05 -15.22  C59 1.090
66 H 8.57 -29.95 -13.08  C60 1.090
67 H 6.35 -29.33 -13.92  C61 1.090
68 H 6.45 -29.62 -12.23  C61 1.090
69 H 5.69 -30.84 -13.25  C61 1.090
70 H 7.26 -32.35 -12.85  O62 0.960
71 C 11.33 -19.30 -16.24  C72 1.562, H75 1.090, H76 1.090, H77 1.090
72 C 12.74 -18.64 -16.07  C71 1.562, C73 1.573, O74 1.388, H78 1.090
73 C 12.78 -17.24 -15.37  C72 1.573, H79 1.090, H80 1.090, H81 1.090
74 O 13.46 -19.55 -15.32  C72 1.388, H82 0.960
75 H 10.83 -19.33 -15.27  C71 1.090
76 H 11.39 -20.29 -16.69  C71 1.090
77 H 10.73 -18.72 -16.95  C71 1.090
78 H 13.15 -18.46 -17.07  C72 1.090
79 H 13.78 -17.00 -15.01  C73 1.090
80 H 12.11 -17.28 -14.51  C73 1.090
81 H 12.45 -16.40 -15.98  C73 1.090
82 H 13.60 -20.36 -15.82  O74 0.960
83 C 3.85 -23.15 -10.91  C84 1.477, H87 1.090, H88 1.090, H89 1.090
84 C 3.49 -24.50 -10.43  C83 1.477, C85 1.517, O86 1.437, H90 1.090
85 C 4.65 -25.28 -9.84  C84 1.517, H91 1.090, H92 1.090, H93 1.090